• Exercise:
Next, transcribe the part of the listing underneath that starts with the line with "3.849" and stops after the one with "-4.567 0.119".

• Excerpt:
=====
# 1
Density functional theory data (PBE-GGA) for a relaxed structure of CuSiRu2.

Cell and atoms, written as extended XYZ:
```
4
Lattice="3.714 0.000 0.000 0.000 2.806 0.000 0.000 1.809 5.133" Properties=species:S:1:pos:R:3 pbc="T T T"
Ru 0.000 0.368 0.064
Ru 0.000 1.940 2.503
Si 1.857 1.154 1.283
Cu 1.857 3.461 3.849
```

Properties
DOS(E_F)   3.59 states/eV/cell
Uncorrected formation energy   -115 meV/atom
Spin magnetization   0.000 μB per cell

---

# 2
Density functional theory data (PBE-GGA) for a relaxed structure of NpScBiO6.

Cell and atoms, written as extended XYZ:
```
18
Lattice="-5.458 -1.137 0.306 3.152 -0.181 4.606 -1.878 9.465 1.657" Properties=species:S:1:pos:R:3 pbc="T T T"
O -1.982 7.246 6.195
O -4.567 0.119 2.158
O -2.203 0.901 0.374
O -1.532 2.948 2.334
O 0.382 8.028 4.410
O 0.004 5.464 5.738
O -4.188 2.684 0.831
O -2.652 5.200 4.235
O -2.409 7.687 3.194
=====

• Written answer:
Cu 1.857 3.461 3.849
```

Properties
DOS(E_F)   3.59 states/eV/cell
Uncorrected formation energy   -115 meV/atom
Spin magnetization   0.000 μB per cell

---

# 2
Density functional theory data (PBE-GGA) for a relaxed structure of NpScBiO6.

Cell and atoms, written as extended XYZ:
```
18
Lattice="-5.458 -1.137 0.306 3.152 -0.181 4.606 -1.878 9.465 1.657" Properties=species:S:1:pos:R:3 pbc="T T T"
O -1.982 7.246 6.195
O -4.567 0.119 2.158